Brief:
Now return the listing below character by character.
Source:
-- begin --
# 1
## CdMoCl3 (GGA-PBE)

Data for a relaxed CdMoCl3 crystal.

Calculated values
Formation energy from raw total energies = 0.13 eV per atom
ρ = 3.77 g/cm³
Magnetic moment = 5.0 μB/f.u.
Density of states at the Fermi level = 3.00 states/eV/cell
Offset from the most stable computed form = 421.1 meV per atom
E = -16.65 eV for the cell shown

Cell lengths 5.1749, 5.1749, 5.1749 Å; angles 90.00, 90.00, 90.00 degrees
With the nearest neighbours (Å) after each atom.
Element x y z (fractional)
Cd: 0.0000 0.0000 0.0000  6 Cl 2.59
Mo: 0.5000 0.5000 0.5000  12 Cl 3.66
Cl: 0.0000 0.0000 0.5000  2 Cd 2.59
Cl: 0.0000 0.5000 0.0000  2 Cd 2.59
Cl: 0.5000 0.0000 0.0000  2 Cd 2.59

=====

# 2
## SrEuGa (GGA-PBE)

Data for a relaxed SrEuGa crystal.

Calculated values
ρ = 4.58 g/cm³
Energy relative to the elements = -186 meV/atom
Magnetic moment = 7.4 μB/f.u.
Density of states at the Fermi level = 9.86 states/eV/cell
Offset from the most stable computed form = 116.0 meV per atom
E = -15.54 eV for the cell shown

Cell lengths 5.4112, 5.4112, 5.4112 Å; angles 60.00, 60.00, 60.00 degrees
With the nearest neighbours (Å) after each atom.
Element x y z (fractional)
Sr: 0.0000 0.0000 0.0000  4 Ga 3.31
Eu: 0.5000 0.5000 0.5000  4 Ga 3.31
Ga: 0.7500 0.7500 0.7500  4 Eu 3.31, 4 Sr 3.31

* * * * *

Density functional theory data (GGA-PBE) for a geometry-optimized Th4CdAu2 structure.

Properties
- electronic total energy (eV per formula unit) = -37.780
- ρ (g/cm3) = 11.121

```
data_Th4CdAu2
_cell_length_a 4.5191
_cell_length_b 4.5191
_cell_length_c 36.3330
_cell_angle_alpha 90.00
_cell_angle_beta 90.00
_cell_angle_gamma 120.00
_symmetry_space_group_name_H-M 'R -3 m'
_symmetry_Int_Tables_number 166
_symmetry_space_group_name_Hall '-R 3 2"'
loop_
_atom_site_label
_atom_site_fract_x
_atom_site_fract_y
_atom_site_fract_z
Th1 0.0000 0.0000 0.1114
Th2 0.0000 0.0000 0.3050
Cd1 0.0000 0.0000 0.5000
Au1 0.0000 0.0000 0.4031
```

* * * * *

(1)
# SCAN Be24Fe5, single point on PBEsol structure
# ΔE_f   -0.152 eV/atom
# DFT total energy   -399.08 eV for the cell shown
# Magnetic moment   13.67 μB per cell
data_Be24Fe5
_chemical_formula_sum 'Be48 Fe10'
_cell_length_a 7.749
_cell_length_b 7.749
_cell_length_c 7.749
_cell_angle_alpha 90.00
_cell_angle_beta 90.00
_cell_angle_gamma 90.00
_space_group_name_H-M_alt 'I -4 3 m'
_space_group_IT_number 217
_space_group_name_Hall 'I -4 2 3'
loop_
_atom_site_label
_atom_site_fract_x
_atom_site_fract_y
_atom_site_fract_z
Be1 0.038 0.353 0.647
Be2 0.091 0.091 0.722
Fe1 0.000 0.000 0.000
Fe2 0.190 0.190 0.190


(2)
# SCAN BeFe2, single point on PBEsol structure
# ΔE_f   -0.050 eV/atom
# DFT total energy   -81.52 eV for the cell shown
# Magnetic moment   8.76 μB per cell
data_BeFe2
_chemical_formula_sum 'Be2 Fe4'
_cell_length_a 2.368
_cell_length_b 3.462
_cell_length_c 7.148
_cell_angle_alpha 90.00
_cell_angle_beta 90.00
_cell_angle_gamma 90.00
_space_group_name_H-M_alt 'I m m m'
_space_group_IT_number 71
_space_group_name_Hall '-I 2 2'
loop_
_atom_site_label
_atom_site_fract_x
_atom_site_fract_y
_atom_site_fract_z
Be1 0.000 0.000 0.000
Fe1 0.000 0.000 0.339


(3)
# SCAN Hf2BeGaFe, single point on PBEsol structure
# ΔE_f   0.468 eV/atom
# DFT total energy   -161.84 eV for the cell shown
# Magnetic moment   0.00 μB per cell
data_Hf2BeGaFe
_chemical_formula_sum 'Hf2 Be1 Ga1 Fe1'
_cell_length_a 4.592
_cell_length_b 4.592
_cell_length_c 4.424
_cell_angle_alpha 90.00
_cell_angle_beta 90.00
_cell_angle_gamma 90.00
_space_group_name_H-M_alt 'P 4/m m m'
_space_group_IT_number 123
_space_group_name_Hall '-P 4 2'
loop_
_atom_site_label
_atom_site_fract_x
_atom_site_fract_y
_atom_site_fract_z
Hf1 0.000 0.500 0.000
Be1 0.000 0.000 0.500
Ga1 0.500 0.500 0.500
Fe1 0.500 0.500 0.000


> magnetic moment of number 1 (Be24Fe5)?

13.67 μB per cell


> Number 1 is which compound?

Be24Fe5
-- stop --
Result:
# 1
## CdMoCl3 (GGA-PBE)

Data for a relaxed CdMoCl3 crystal.

Calculated values
Formation energy from raw total energies = 0.13 eV per atom
ρ = 3.77 g/cm³
Magnetic moment = 5.0 μB/f.u.
Density of states at the Fermi level = 3.00 states/eV/cell
Offset from the most stable computed form = 421.1 meV per atom
E = -16.65 eV for the cell shown

Cell lengths 5.1749, 5.1749, 5.1749 Å; angles 90.00, 90.00, 90.00 degrees
With the nearest neighbours (Å) after each atom.
Element x y z (fractional)
Cd: 0.0000 0.0000 0.0000  6 Cl 2.59
Mo: 0.5000 0.5000 0.5000  12 Cl 3.66
Cl: 0.0000 0.0000 0.5000  2 Cd 2.59
Cl: 0.0000 0.5000 0.0000  2 Cd 2.59
Cl: 0.5000 0.0000 0.0000  2 Cd 2.59

=====

# 2
## SrEuGa (GGA-PBE)

Data for a relaxed SrEuGa crystal.

Calculated values
ρ = 4.58 g/cm³
Energy relative to the elements = -186 meV/atom
Magnetic moment = 7.4 μB/f.u.
Density of states at the Fermi level = 9.86 states/eV/cell
Offset from the most stable computed form = 116.0 meV per atom
E = -15.54 eV for the cell shown

Cell lengths 5.4112, 5.4112, 5.4112 Å; angles 60.00, 60.00, 60.00 degrees
With the nearest neighbours (Å) after each atom.
Element x y z (fractional)
Sr: 0.0000 0.0000 0.0000  4 Ga 3.31
Eu: 0.5000 0.5000 0.5000  4 Ga 3.31
Ga: 0.7500 0.7500 0.7500  4 Eu 3.31, 4 Sr 3.31

* * * * *

Density functional theory data (GGA-PBE) for a geometry-optimized Th4CdAu2 structure.

Properties
- electronic total energy (eV per formula unit) = -37.780
- ρ (g/cm3) = 11.121

```
data_Th4CdAu2
_cell_length_a 4.5191
_cell_length_b 4.5191
_cell_length_c 36.3330
_cell_angle_alpha 90.00
_cell_angle_beta 90.00
_cell_angle_gamma 120.00
_symmetry_space_group_name_H-M 'R -3 m'
_symmetry_Int_Tables_number 166
_symmetry_space_group_name_Hall '-R 3 2"'
loop_
_atom_site_label
_atom_site_fract_x
_atom_site_fract_y
_atom_site_fract_z
Th1 0.0000 0.0000 0.1114
Th2 0.0000 0.0000 0.3050
Cd1 0.0000 0.0000 0.5000
Au1 0.0000 0.0000 0.4031
```

* * * * *

(1)
# SCAN Be24Fe5, single point on PBEsol structure
# ΔE_f   -0.152 eV/atom
# DFT total energy   -399.08 eV for the cell shown
# Magnetic moment   13.67 μB per cell
data_Be24Fe5
_chemical_formula_sum 'Be48 Fe10'
_cell_length_a 7.749
_cell_length_b 7.749
_cell_length_c 7.749
_cell_angle_alpha 90.00
_cell_angle_beta 90.00
_cell_angle_gamma 90.00
_space_group_name_H-M_alt 'I -4 3 m'
_space_group_IT_number 217
_space_group_name_Hall 'I -4 2 3'
loop_
_atom_site_label
_atom_site_fract_x
_atom_site_fract_y
_atom_site_fract_z
Be1 0.038 0.353 0.647
Be2 0.091 0.091 0.722
Fe1 0.000 0.000 0.000
Fe2 0.190 0.190 0.190


(2)
# SCAN BeFe2, single point on PBEsol structure
# ΔE_f   -0.050 eV/atom
# DFT total energy   -81.52 eV for the cell shown
# Magnetic moment   8.76 μB per cell
data_BeFe2
_chemical_formula_sum 'Be2 Fe4'
_cell_length_a 2.368
_cell_length_b 3.462
_cell_length_c 7.148
_cell_angle_alpha 90.00
_cell_angle_beta 90.00
_cell_angle_gamma 90.00
_space_group_name_H-M_alt 'I m m m'
_space_group_IT_number 71
_space_group_name_Hall '-I 2 2'
loop_
_atom_site_label
_atom_site_fract_x
_atom_site_fract_y
_atom_site_fract_z
Be1 0.000 0.000 0.000
Fe1 0.000 0.000 0.339


(3)
# SCAN Hf2BeGaFe, single point on PBEsol structure
# ΔE_f   0.468 eV/atom
# DFT total energy   -161.84 eV for the cell shown
# Magnetic moment   0.00 μB per cell
data_Hf2BeGaFe
_chemical_formula_sum 'Hf2 Be1 Ga1 Fe1'
_cell_length_a 4.592
_cell_length_b 4.592
_cell_length_c 4.424
_cell_angle_alpha 90.00
_cell_angle_beta 90.00
_cell_angle_gamma 90.00
_space_group_name_H-M_alt 'P 4/m m m'
_space_group_IT_number 123
_space_group_name_Hall '-P 4 2'
loop_
_atom_site_label
_atom_site_fract_x
_atom_site_fract_y
_atom_site_fract_z
Hf1 0.000 0.500 0.000
Be1 0.000 0.000 0.500
Ga1 0.500 0.500 0.500
Fe1 0.500 0.500 0.000


> magnetic moment of number 1 (Be24Fe5)?

13.67 μB per cell


> Number 1 is which compound?

Be24Fe5